# Activity
It remains to echo all of the material further below exactly.

# Entries
- - -
Compound: CsGaSn
Source: Alexandria
Functional: PBE
Structure: relaxed

Calculated values
- energy relative to the elements (eV/atom) = -0.0124
- magnetic moment (μB per formula unit) = 0.000

Cell: 3.9332 3.9332 7.4501 Å, 105.31 105.31 90.00°
Element x y z (fractional)
Cs (0.0006, 0.0006, 0.0012)
Sn (0.7170, 0.7170, 0.4340)
Ga (0.2824, 0.2824, 0.5648)


# 1
# MnNiTe2 | Alexandria via LeMat-Bulk | GGA-PBE | optimized geometry
data_MnNiTe2
_space_group_name_H-M_alt 'P 1'
_space_group_IT_number 1
_space_group_name_Hall 'P 1'
_cell_length_a 5.141
_cell_length_b 3.610
_cell_length_c 6.337
_cell_angle_alpha 90.00
_cell_angle_beta 92.88
_cell_angle_gamma 90.00
loop_
_atom_site_label
_atom_site_fract_x
_atom_site_fract_y
_atom_site_fract_z
Mn1 0.000 0.000 0.000
Ni1 0.500 0.000 0.000
Te1 0.271 0.500 0.773
Te2 0.729 0.500 0.227
# M_tot in μB per cell: 3.964
# Formation energy (no corrections) in eV/f.u.: 0.07

# 2
# Pm3Sc2In2 | Alexandria via LeMat-Bulk | GGA-PBE | optimized geometry
data_Pm3Sc2In2
_space_group_name_H-M_alt 'P 1'
_space_group_IT_number 1
_space_group_name_Hall 'P 1'
_cell_length_a 5.353
_cell_length_b 3.262
_cell_length_c 11.108
_cell_angle_alpha 90.00
_cell_angle_beta 103.93
_cell_angle_gamma 90.00
loop_
_atom_site_label
_atom_site_fract_x
_atom_site_fract_y
_atom_site_fract_z
Pm1 0.000 0.000 0.000
Pm2 0.288 0.000 0.577
Pm3 0.712 0.000 0.423
Sc1 0.430 0.000 0.860
Sc2 0.570 0.000 0.140
In1 0.142 0.500 0.284
In2 0.858 0.500 0.716
# M_tot in μB per cell: 0.123
# Formation energy from the elements in kJ/mol of formula units: -25

# 3
# Ho2SiSb | Alexandria via LeMat-Bulk | GGA-PBE | optimized geometry
data_Ho2SiSb
_space_group_name_H-M_alt 'P 1'
_space_group_IT_number 1
_space_group_name_Hall 'P 1'
_cell_length_a 4.143
_cell_length_b 4.143
_cell_length_c 21.548
_cell_angle_alpha 90.00
_cell_angle_beta 90.00
_cell_angle_gamma 120.00
loop_
_atom_site_label
_atom_site_fract_x
_atom_site_fract_y
_atom_site_fract_z
Ho1 0.000 0.000 0.244
Ho2 0.000 0.000 0.756
Ho3 0.333 0.667 0.423
Ho4 0.333 0.667 0.910
Ho5 0.667 0.333 0.090
Ho6 0.667 0.333 0.577
Si1 0.000 0.000 0.500
Si2 0.333 0.667 0.167
Si3 0.667 0.333 0.833
Sb1 0.000 0.000 0.000
Sb2 0.333 0.667 0.667
Sb3 0.667 0.333 0.333
# M_tot in μB per cell: 0.000
# Formation energy (no corrections) in eV/f.u.: -3.09
# ΔE to the lowest computed polymorph in meV/atom: 101.3

# 4
# CrTcSb2 | Alexandria via LeMat-Bulk | GGA-PBE | optimized geometry
data_CrTcSb2
_space_group_name_H-M_alt 'P 1'
_space_group_IT_number 1
_space_group_name_Hall 'P 1'
_cell_length_a 6.731
_cell_length_b 6.731
_cell_length_c 6.731
_cell_angle_alpha 90.00
_cell_angle_beta 90.00
_cell_angle_gamma 90.00
loop_
_atom_site_label
_atom_site_fract_x
_atom_site_fract_y
_atom_site_fract_z
Cr1 0.000 0.000 0.000
Cr2 0.000 0.500 0.500
Cr3 0.500 0.000 0.500
Cr4 0.500 0.500 0.000
Tc1 0.250 0.250 0.250
Tc2 0.250 0.750 0.750
Tc3 0.750 0.250 0.750
Tc4 0.750 0.750 0.250
Sb1 0.000 0.000 0.500
Sb2 0.000 0.500 0.000
Sb3 0.250 0.250 0.750
Sb4 0.250 0.750 0.250
Sb5 0.500 0.000 0.000
Sb6 0.500 0.500 0.500
Sb7 0.750 0.250 0.250
Sb8 0.750 0.750 0.750
# M_tot in μB per cell: 11.595
# Formation energy (no corrections) in eV/f.u.: 2.58
# ΔE to the lowest computed polymorph in meV/atom: 517.4

# 5
# Cu3ReN | Alexandria via LeMat-Bulk | GGA-PBE | optimized geometry
data_Cu3ReN
_space_group_name_H-M_alt 'P 1'
_space_group_IT_number 1
_space_group_name_Hall 'P 1'
_cell_length_a 3.881
_cell_length_b 3.881
_cell_length_c 3.881
_cell_angle_alpha 90.00
_cell_angle_beta 90.00
_cell_angle_gamma 90.00
loop_
_atom_site_label
_atom_site_fract_x
_atom_site_fract_y
_atom_site_fract_z
Cu1 0.000 0.000 0.500
Cu2 0.000 0.500 0.000
Cu3 0.500 0.000 0.000
Re1 0.500 0.500 0.500
N1 0.000 0.000 0.000
# M_tot in μB per cell: 0.000
# Formation energy (no corrections) in eV/f.u.: 4.58
# ΔE to the lowest computed polymorph in meV/atom: 0.0

# 6
# PaTc2Ag | Alexandria via LeMat-Bulk | GGA-PBE | optimized geometry
data_PaTc2Ag
_space_group_name_H-M_alt 'P 1'
- - -

# Solution
Compound: CsGaSn
Source: Alexandria
Functional: PBE
Structure: relaxed

Calculated values
- energy relative to the elements (eV/atom) = -0.0124
- magnetic moment (μB per formula unit) = 0.000

Cell: 3.9332 3.9332 7.4501 Å, 105.31 105.31 90.00°
Element x y z (fractional)
Cs (0.0006, 0.0006, 0.0012)
Sn (0.7170, 0.7170, 0.4340)
Ga (0.2824, 0.2824, 0.5648)


# 1
# MnNiTe2 | Alexandria via LeMat-Bulk | GGA-PBE | optimized geometry
data_MnNiTe2
_space_group_name_H-M_alt 'P 1'
_space_group_IT_number 1
_space_group_name_Hall 'P 1'
_cell_length_a 5.141
_cell_length_b 3.610
_cell_length_c 6.337
_cell_angle_alpha 90.00
_cell_angle_beta 92.88
_cell_angle_gamma 90.00
loop_
_atom_site_label
_atom_site_fract_x
_atom_site_fract_y
_atom_site_fract_z
Mn1 0.000 0.000 0.000
Ni1 0.500 0.000 0.000
Te1 0.271 0.500 0.773
Te2 0.729 0.500 0.227
# M_tot in μB per cell: 3.964
# Formation energy (no corrections) in eV/f.u.: 0.07

# 2
# Pm3Sc2In2 | Alexandria via LeMat-Bulk | GGA-PBE | optimized geometry
data_Pm3Sc2In2
_space_group_name_H-M_alt 'P 1'
_space_group_IT_number 1
_space_group_name_Hall 'P 1'
_cell_length_a 5.353
_cell_length_b 3.262
_cell_length_c 11.108
_cell_angle_alpha 90.00
_cell_angle_beta 103.93
_cell_angle_gamma 90.00
loop_
_atom_site_label
_atom_site_fract_x
_atom_site_fract_y
_atom_site_fract_z
Pm1 0.000 0.000 0.000
Pm2 0.288 0.000 0.577
Pm3 0.712 0.000 0.423
Sc1 0.430 0.000 0.860
Sc2 0.570 0.000 0.140
In1 0.142 0.500 0.284
In2 0.858 0.500 0.716
# M_tot in μB per cell: 0.123
# Formation energy from the elements in kJ/mol of formula units: -25

# 3
# Ho2SiSb | Alexandria via LeMat-Bulk | GGA-PBE | optimized geometry
data_Ho2SiSb
_space_group_name_H-M_alt 'P 1'
_space_group_IT_number 1
_space_group_name_Hall 'P 1'
_cell_length_a 4.143
_cell_length_b 4.143
_cell_length_c 21.548
_cell_angle_alpha 90.00
_cell_angle_beta 90.00
_cell_angle_gamma 120.00
loop_
_atom_site_label
_atom_site_fract_x
_atom_site_fract_y
_atom_site_fract_z
Ho1 0.000 0.000 0.244
Ho2 0.000 0.000 0.756
Ho3 0.333 0.667 0.423
Ho4 0.333 0.667 0.910
Ho5 0.667 0.333 0.090
Ho6 0.667 0.333 0.577
Si1 0.000 0.000 0.500
Si2 0.333 0.667 0.167
Si3 0.667 0.333 0.833
Sb1 0.000 0.000 0.000
Sb2 0.333 0.667 0.667
Sb3 0.667 0.333 0.333
# M_tot in μB per cell: 0.000
# Formation energy (no corrections) in eV/f.u.: -3.09
# ΔE to the lowest computed polymorph in meV/atom: 101.3

# 4
# CrTcSb2 | Alexandria via LeMat-Bulk | GGA-PBE | optimized geometry
data_CrTcSb2
_space_group_name_H-M_alt 'P 1'
_space_group_IT_number 1
_space_group_name_Hall 'P 1'
_cell_length_a 6.731
_cell_length_b 6.731
_cell_length_c 6.731
_cell_angle_alpha 90.00
_cell_angle_beta 90.00
_cell_angle_gamma 90.00
loop_
_atom_site_label
_atom_site_fract_x
_atom_site_fract_y
_atom_site_fract_z
Cr1 0.000 0.000 0.000
Cr2 0.000 0.500 0.500
Cr3 0.500 0.000 0.500
Cr4 0.500 0.500 0.000
Tc1 0.250 0.250 0.250
Tc2 0.250 0.750 0.750
Tc3 0.750 0.250 0.750
Tc4 0.750 0.750 0.250
Sb1 0.000 0.000 0.500
Sb2 0.000 0.500 0.000
Sb3 0.250 0.250 0.750
Sb4 0.250 0.750 0.250
Sb5 0.500 0.000 0.000
Sb6 0.500 0.500 0.500
Sb7 0.750 0.250 0.250
Sb8 0.750 0.750 0.750
# M_tot in μB per cell: 11.595
# Formation energy (no corrections) in eV/f.u.: 2.58
# ΔE to the lowest computed polymorph in meV/atom: 517.4

# 5
# Cu3ReN | Alexandria via LeMat-Bulk | GGA-PBE | optimized geometry
data_Cu3ReN
_space_group_name_H-M_alt 'P 1'
_space_group_IT_number 1
_space_group_name_Hall 'P 1'
_cell_length_a 3.881
_cell_length_b 3.881
_cell_length_c 3.881
_cell_angle_alpha 90.00
_cell_angle_beta 90.00
_cell_angle_gamma 90.00
loop_
_atom_site_label
_atom_site_fract_x
_atom_site_fract_y
_atom_site_fract_z
Cu1 0.000 0.000 0.500
Cu2 0.000 0.500 0.000
Cu3 0.500 0.000 0.000
Re1 0.500 0.500 0.500
N1 0.000 0.000 0.000
# M_tot in μB per cell: 0.000
# Formation energy (no corrections) in eV/f.u.: 4.58
# ΔE to the lowest computed polymorph in meV/atom: 0.0

# 6
# PaTc2Ag | Alexandria via LeMat-Bulk | GGA-PBE | optimized geometry
data_PaTc2Ag
_space_group_name_H-M_alt 'P 1'